
Well, it’s here!  The big day has finally arrived.  Jamie Wallen is coming over this morning to spend the day with me.  He will be assembling my new A-1 and showing me how to create magic!  Well, I doubt my quilting will look magical, but it’s going be surreal.  I still can’t believe it! I am just so excited.  I didn’t sleep a wink last night.  I have to admit, I’m a nervous wreck too.  What if is something is wrong?  What if we finally plug in my A-1 and it doesn’t work?  Silly, I know.  I know everything will be okay…hopefully.

I can’t say enough how wonderful Scott has been.  He gave up his fishing/tool and storage area to house my new A-1. We really don’t have any other place to put it.  When we finished our basement 3 years ago, we deliberately left that area unfinished for storage and his things.  We have a very large family room with a kitchenette, bedroom and bath in our basement now.  The bedroom is my current sewing studio. [no bed in there :-)]  Unfortunately, we built it a foot too small to have my A-1 in there.  If we had known then what we know now, we would have made that room a little bigger.  I didn’t want a LA in the family room, so our storage room was really the only place it could go.  Poor Scott.  I will say it made us purge and throw a TON of stuff away we didn’t need to be saving!  Scott thought we could have been featured on the show Hoarders!  LOL!  Initially, it was such a nightmare!  Oh and the mess!  Scott really did most of the work.  He’s painted, put down a beautiful new floor and added my cabinets.  There’s still some finishing touches that need to be done, but I don’t care.  I would’ve loved it before he did all the work.  I am just thrilled to have my machine.  Scott is the one that’s been concerned with how nice the room is.  Scott does get to keep a very small corner for some of his things.  He’s definitely earned it!

I thought I would give a little peak so far…

I think I found the perfect spot to hang my “Butter Churn.”

I have a new 8 Ft. long pressing station.  Scott made a very large ironing board for me last night.  I helped…I handed him the scissors.  He securely placed the cabinets away from the wall, so I have ample space to press a large quilt.  He even made sure that I had enough room behind the cabinets to use my Swiffer!   He’s good.
Here is an idea of what the room looked like before.  A bit of a change??

My new saddle stool for quilting.  It came with my package.  It’s so comfortable.  I can’t wait to try it while I’m quilting!  Soon, very soon my friends…


  • Sharon says:

    Ooooh!!!! I'm SO excited for you, Linda!!!!! It looks wonderful and everything is going to work just perfectly!!! I had to laugh at your before picture because our whole basement looks like that! We really need to throw away most of it. LOL Your husband is such a sweetie to give up his space for you and your A-1.

  • Lori says:

    Wow! The room looks wonderful!!! Your husband deserves the blue ribbon for sure!!!

  • Carol says:

    That is so awesome Linda. Your cabinets look so nice and how wonderful to have a big pressing table. I totally agree, your Butterchurn looks perfect there. Happy Quilting.

  • Darlene says:

    I'm telling you Scott is definitely a Super Hero. 🙂

    Remember to relax, breathe and enjoy.

  • Country Prims says:

    Whohoo! It's all happening:)) Loving it all!

    I had to laugh at you hod sleeping and thinking of the possibilities to go wrong-I do that too, just in case I get dashed when so excited about something!lol!

Next to the entry, the page also holds materials data.
........
{
  "formula": "ReNi2N3",
  "functional": "PBE",
  "state": "optimized geometry",
  "lattice_angstrom": [[4.909, 0.934, 0.326], [-6.977, 3.615, 0.000], [0.153, 0.295, 13.480]],
  "species": ["Ni", "Ni", "Re", "N", "Re", "N", "Re", "N", "Ni", "N", "N", "N", "Re", "Ni", "N", "N", "N", "N", "Ni", "N", "Ni", "N", "Ni", "Ni"],
  "fractional_positions": [[0.510, 0.839, 0.511], [0.141, 0.788, 0.032], [0.458, 0.677, 0.826], [0.602, 0.562, 0.107], [0.542, 0.219, 0.674], [0.398, 0.438, 0.893], [0.542, 0.323, 0.174], [0.500, 0.361, 0.572], [0.859, 0.212, 0.968], [0.398, 0.960, 0.393], [0.500, 0.639, 0.428], [0.000, 0.472, 0.750], [0.458, 0.781, 0.326], [0.141, 0.353, 0.532], [0.602, 0.040, 0.607], [0.000, 0.954, 0.750], [0.500, 0.861, 0.928], [0.000, 0.046, 0.250], [0.490, 0.329, 0.989], [0.500, 0.139, 0.072], [0.859, 0.647, 0.468], [0.000, 0.528, 0.250], [0.490, 0.161, 0.489], [0.510, 0.671, 0.011]],
  "e_form_mev_per_atom": 82,
  "total_energy_ev_per_atom": -7.91,
  "volume_a3_per_atom": 13.593,
  "mass_density_g_cm3": 7.04
}

~~~~~

A relaxed SrCa crystal. Source: Materials Project, functional GGA-PBE.

Results
ΔE to the lowest computed polymorph	0	meV per atom
total moment	0.006	μB per cell
V	95.1	Å³/cell
ΔH_f (0 K)	0.073	eV per formula unit

Geometry as POSCAR:
```
SrCa
1.0
2.3646 -3.1980 0.0000
2.3646 3.1980 0.0000
0.0000 0.0000 6.2900
Sr Ca
1 1
direct
0.5000 0.5000 0.5000
0.0000 0.0000 0.0000
```

A relaxed SrCa3 crystal. Source: Materials Project, functional GGA-PBE.

Results
ΔE to the lowest computed polymorph	11	meV per atom
V	362.2	Å³/cell
ΔH_f (0 K)	0.119	eV per formula unit

Geometry as POSCAR:
```
SrCa3
1.0
-7.8222 0.7189 -1.3655
4.0038 -6.2357 -2.9418
-1.2702 -3.4032 5.4850
Ca Sr
6 2
direct
0.1643 0.3285 0.2500
0.3285 0.1643 0.7500
0.6715 0.8357 0.2500
0.8357 0.1643 0.7500
0.8357 0.6715 0.7500
0.1643 0.8357 0.2500
0.6667 0.3333 0.2500
0.3333 0.6667 0.7500
```

A relaxed SrCa3 crystal. Source: Materials Project, functional GGA-PBE.

Results
ΔE to the lowest computed polymorph	0	meV per atom
V	179.9	Å³/cell
ΔH_f (0 K)	0.075	eV per formula unit

Geometry as POSCAR:
```
SrCa3
1.0
-3.5983 -5.0621 2.9810
-6.7217 1.2370 -0.8643
5.2214 -0.1528 -4.4914
Ca Sr
3 1
direct
0.2500 0.7500 0.5000
0.5000 0.5000 0.0000
0.7500 0.2500 0.5000
0.0000 0.0000 0.0000
```

A relaxed SrCa crystal. Source: Materials Project, functional GGA-PBE.

Results
ΔE to the lowest computed polymorph	0	meV per atom
V	96.6	Å³/cell
ΔH_f (0 K)	0.073	eV per formula unit

Geometry as POSCAR:
```
SrCa
1.0
2.0580 -3.5646 0.0000
2.0580 3.5646 0.0000
0.0000 0.0000 6.5818
Ca Sr
1 1
direct
0.0000 0.0000 0.0000
0.6667 0.3333 0.5000
```

A relaxed SrCa3 crystal. Source: Materials Project, functional GGA-PBE.

Results
ΔE to the lowest computed polymorph	0	meV per atom
V	178.0	Å³/cell
ΔH_f (0 K)	0.075	eV per formula unit

Geometry as POSCAR:
```
SrCa3
1.0
-4.5884 -2.9851 -1.2981
3.1614 -4.6210 -0.5481
-0.7755 -1.1765 5.4464
Ca Sr
3 1
direct
0.5000 0.0000 0.5000
0.5000 0.5000 0.0000
........
So much for the materials data.

    Enjoy and hope your training session goes a dream!

    Shazy x

  • Chris@Cats On My Quilts says:

    Now I think I need a pressing staion in my room! Going to have to find some space for that.

  • Yvette says:

    I am so excited for you!!!

  • Mama Pea says:

    So exciting! What a nice change to the room! So, will you move the rest of your sewing stuff in that room and give him the "bedroom?" Or will you share this room?

    I can't wait to hear how it goes today. I am so excited for you.

    That pressing station and those cabinets are to die for!

  • WoolenSails says:

    The new room is looking great, will be so nice to have your own space to work in.


  • Lynn says:

    I have quilting studio envy! What a wonderful time you are going to have quilting on your new machine. Do you rent out your handy husband to other quilter's?

  • Lainee says:

    I'm really excited for you!!!! Just breath and keep in mind, if you can do what you do on a DSM…this will be a snap in a very short time. The only thing I think that would be intimidating for me on a long arm would be loading the back and quilt top PROPERLY…what kind of leaders did you get?

    Thanks for clarifying the clearance on your pressing station…picture Sarge with his head tipped sideways,ears perked and brow furrowed.

    I await your next post!

  • Brandie says:

    How wonderful it all looks! Lucky girl! You have a great Husband, cherish him. Wonderful things will come out of this room, I just know it!

  • Cheryll says:

    I'm so excited for you! Can't wait to see you what come up with.

  • Nicole says:

    You are so fortunate to have such a handy husband! And generous! Love that ironing station. What I wouldn't give to have one like it. Alas, my space for sewing is no where near as large as yours, but seeing what you have done makes me want to get in mine and reorganize things considerably!
    Have a fabulous time getting to know your A-1!

  • Carrie P. says:

    The room is looking good. I think you should keep Scott. He sounds like a great guy.
    I have heard that if you haven't used something in a year it is time to get rid of it. I did that a couple years ago and can't believe how much stuff I had. I like living simply now.
    Have fun learning to use your machine.

  • Michele says:

    How exciting!!! The room is beautiful….love the Butter Churn! Enjoy!

  • Jeanette says:

    The room looks great. Love the big pressing station. How did your day of learning go? Can't wait to hear all about it. Hugs,

  • Sunnybec says:

    How excited are you!!! I can hear it in your typing LOL Can't wait to see it all set up. Hugs Linda

  • Kathy says:

    How exciting! Your new sewing room looks great, and your DH is definitely a keeper.

    Hope you get some sleep tonight, but you'll probably want to be playing with your new toy instead of sleeping!

  • Cindy says:

    WOW – Linda. It looks totally wonderful!! So clean, pristine and beautiful!! You're a fortunate lady to have a special man in your life. Kudos to you!!

  • West Michigan Quilter says:

    You are so blessed! Ann A-1 AND a perfect husband. I'm filled with envy. Love your new space. Looks like a place you can stay organized too. Hope you post a picture when everything is set up.

  • Quilts And Pieces says:

    Oh how wonderful this is going to be! That pressing station is to die for!

  • Anonymous says:

    It is looking great! It sounds like your Scott is a keeper :o) Enjoy the new machine!

  • QuiltSue says:

    Oh this looks wonderful. I am so excited for you and can hardly wait to see your masterpieces.

  • Carol says:

    Oh Linda your room is spectacular! Scott is amazing! Can't wait to hear all about your day with Jamie…I'm so excited for you!

  • Maddie Kertay- The Domestic Anarchist says:

    ohhh I have Iron station envy!!!
